.jpg)
1.
"The
golden
hue
of
autumn
mirrors
the
sweetness
of
honey.
"
【美景与美味谁能辨别】
2.
"As
the
leaves
turn
amber
and
the
air
grows
crisp,
the
bees
are
hard
at
work
collecting
the
nectar
of
fall.
"
【愈冷愈勤劳的生命】
3.
"In
the
season
of
harvest,
the
bees
gather
the
essence
of
nature's
bounty
into
their
golden
jars.
"
【大千世界尽在一蜜缸】
4.
"The
pollen-laden
bees
dance
among
the
autumn
flowers,
creating
a
sweet
symphony
of
nature.
"
【婉转的细语,从花间飞舞而来】
5.
"The
aroma
of
autumn
honey
fills
the
air,
enchanting
all
who
inhabit
the
forest.
"
【清香袭人,美在空气间弥漫】
6.
"The
sweetness
of
fall
honey
is
a
testament
to
the
hard
work
and
collaboration
of
the
entire
bee
colony.
"
【众志成城,成就千年蜜甜】
7.
"In
fall,
the
bees
remind
us
of
the
beauty
and
fragility
of
nature,
as
they
toil
tirelessly
to
store
food
for
winter.
"
【惜时珍粮,用智和力挣扎着迎接冬天的挑战】
8.
"The
amber
hues
of
autumn
honey
are
a
reflection
of
the
changing
seasons,
and
the
constant
ebb
and
flow
of
life.
"
【靛黄之美,像琥珀般承载着时间的神秘与变幻】
9.
"Fall
honey
is
not
just
a
sweet
treat,
but
a
reminder
of
our
connection
to
the
natural
world.
"
【思嘉在这蜜甜中,看到是自身与自然世界无法割裂的紧密联系】
10.
"Through
the
hard
work
and
diligence
of
the
bees,
we
are
gifted
with
the
sweetest
of
autumn
treasures.
"
【艰苦奋斗之中,滋养着秋天成果的珍品】
11.
"The
beauty
of
autumn
honey
lies
not
only
in
its
taste,
but
in
the
intricate
dance
of
the
bees
that
create
it.
"
【因动静成全芬芳,味美弥散花香】
12.
"Fall
honey
is
a
sweet
reminder
that
even
during
the
fading
of
the
seasons,
life
is
still
buzzing
with
activity.
"
【岁月匆匆,却闪耀着蜜蜂
的生机】
13.
"As
the
seasons
change,
the
bees
remind
us
to
savor
the
sweetness
of
life,
even
in
its
fleeting
moments.
"
【生命起跃绽放在短暂的秋光里,我们更要珍惜蜂蜜陪伴的岁月】
14.
"The
fragrant
aroma
of
fall
honey
is
a
reminder
that
even
in
the
midst
of
great
change,
beauty
can
still
be
found.
"
【诗意芳香是秋天蜂蜜的致意,静享其中,体味世界的精美】
15.
"Fall
honey
is
a
symbol
of
the
bounty
of
nature,
and
the
endless
potential
for
sweetness
that
lies
within
it.
"
【山川秋水承载天地之间的丰盈,让我们如蜜一样甜蜜地到来】
16.
"Amidst
the
falling
leaves
and
autumn
chill,
the
bees
remind
us
of
the
beauty
and
grace
of
nature's
rhythm.
"
【注生注灭,只要领会那金色的乐章
】
17.
"The
miracle
of
fall
honey
is
not
in
its
sweetness,
but
in
the
delicate
balance
of
nature
that
creates
it.
"
【天衣无缝,生命有度。
蜂蜜馈赠我们这的美好是如此的鲜活和动人】
18.
"As
the
bees
work
tirelessly
to
create
their
golden
harvest,
they
remind
us
of
the
rewards
that
come
from
hard
work
and
dedication.
"
【凭一己之力开辟甜美之所,可见这勤劳智慧之精华】
19.
-- Misplaced materials data --
<<<
(1)
Calculated X-ray diffraction stick pattern
Compound: Li2MnPHO5
Radiation: CuKα
Structure: a cell relaxed with GGA+U
Lines closer than 0.1° are merged.

Top 10 peaks for 10° ≤ 2θ ≤ 90°, in order of rising 2θ:
d_spacing	Rel. int.
5.509	35
5.206	30
3.477	100
3.443	53
3.398	50
3.288	98
2.714	39
2.631	42
2.372	35
2.218	49

Atomic structure:
```
Li2MnPHO5
1.0
5.135 0.000 0.000
-0.595 5.822 0.000
-2.411 -2.363 6.910
Li Mn P H O
4 2 2 2 10
Cartesian
0.000 0.000 0.000 Li
-0.808 4.667 2.211 Li
0.764 -0.962 5.284 Li
2.613 0.564 4.289 Li
0.148 1.991 2.948 Mn
-0.850 1.073 6.747 Mn
2.661 0.489 1.299 P
2.802 3.464 4.443 P
1.096 1.557 5.290 H
4.293 2.713 0.693 H
-2.287 2.250 5.460 O
-0.070 3.135 1.132 O
-0.880 3.799 3.998 O
1.163 0.251 1.640 O
0.462 0.935 4.865 O
2.781 1.702 0.327 O
2.719 5.092 0.558 O
1.940 3.109 3.238 O
3.512 0.679 2.588 O
2.788 -1.162 5.260 O
```

(2)
Calculated X-ray diffraction stick pattern
Compound: Al2CrO5
Radiation: CuKα
Structure: a cell relaxed with GGA+U
Lines closer than 0.1° are merged.

Top 10 peaks for 10° ≤ 2θ ≤ 90°, in order of rising 2θ:
d_spacing	Rel. int.
4.442	100
3.204	89
2.816	85
2.543	80
2.367	36
1.962	38
1.673	46
1.668	51
1.593	53
1.410	45

Atomic structure:
```
Al2CrO5
1.0
4.780 -2.483 0.000
4.780 2.483 0.000
-2.526 0.000 6.354
Al Cr O
4 2 10
Cartesian
0.685 0.056 1.367 Al
-0.578 -0.056 4.544 Al
7.611 0.056 1.810 Al
6.348 -0.056 4.986 Al
4.780 0.000 0.000 Cr
3.517 0.000 3.177 Cr
2.578 1.733 3.517 O
0.842 0.755 5.363 O
3.193 1.733 6.013 O
4.148 0.995 1.588 O
2.105 -0.755 2.186 O
4.929 0.755 4.168 O
2.885 -0.995 4.765 O
3.841 -1.733 0.340 O
6.192 -0.755 0.991 O
4.456 -1.733 2.837 O
```


Diffraction record for RbCo4Cl8. The X-ray diffraction stick pattern is computed, not measured: it uses a GGA-PBE-relaxed structure and Cu Kα.

a b c (Å): 6.4822 6.4822 9.8562
angles (deg): 90.00 90.00 120.00
Element x y z (fractional)
Rb (0.0000, 0.0000, 0.0000)
Co (0.3333, 0.6667, 0.2331)
Co (0.3333, 0.6667, 0.7669)
Co (0.6667, 0.3333, 0.2331)
Co (0.6667, 0.3333, 0.7669)
Cl (0.0000, 0.3414, 0.6926)
Cl (0.0000, 0.6586, 0.3074)
Cl (0.3333, 0.6667, 0.0000)
Cl (0.3414, 0.0000, 0.6926)
Cl (0.3414, 0.3414, 0.3074)
Cl (0.6586, 0.0000, 0.3074)
Cl (0.6586, 0.6586, 0.6926)
Cl (0.6667, 0.3333, 0.0000)

Top 10 peaks for 10° ≤ 2θ ≤ 90°, sorted by position:
15.79 deg, I 19
18.00 deg, I 43
24.03 deg, I 61
27.52 deg, I 63
29.00 deg, I 100
46.28 deg, I 53
46.60 deg, I 19
48.66 deg, I 50
54.48 deg, I 28
62.30 deg, I 20


# Ca4Ga
Calculated PXRD pattern, Cu Kα (weighted mean of Kα1 and Kα2). Input: the PBE geometry in Alexandria.

Cell and atoms:
abc: 15.9598 15.2951 11.2257
angles: 90.00 129.36 90.00
Space group C2/c (No. 15)
Symmetry-distinct sites (fractional):
Ca 0.0000 0.1273 0.2500 [4 per cell]
Ca 0.0292 0.3356 0.0902 [8 per cell]
Ca 0.0517 0.1037 0.9596 [8 per cell]
Ca 0.1144 0.4476 0.7653 [8 per cell]
Ca 0.2106 0.2201 0.8041 [8 per cell]
Ca 0.2444 0.0270 0.3700 [8 per cell]
Ca 0.2500 0.2500 0.5000 [4 per cell]
>>>
-- Here the page continues --
"Fall
honey
is
a
reminder
that
the
beauty
and
sweetness
of
life
can
be
found
even
in
the
most
unexpected
places.
"
【种能量于秋天,抱香致赠于人间。
生命绽放之美,不可考究其深】
20.
"The
amber
glow
of
fall
honey
captures
the
essence
of
the
autumn
season,
and
the
wonder
of
nature's
infinite
creativity.
"
【夕阳如金,如再烬惊鸿,夕照般的琥珀,孕育着了无限的生命盼望与惊艳】